Starting Database Tools from the Command Line

Describes how to start Oracle Database tools from the command line, and where to go for further information on using these products.

Table 2-3 Starting Database Tools from the Command Line

Tool Enter at Prompt More Information

Oracle ASM Disk Stamping Tool

Oracle ASM Disk Stamping Tool (GUI version)

  • C:\> asmtool

    Following are the list of options:

    C:\> asmtool -add

    C:\> asmtool -addprefix

    C:\> asmtool -list

    C:\> asmtool -delete

Someone pasted records of crystals at this point:
3
Lattice="2.992 -3.673 2.758 -2.169 -2.637 4.289 -1.184 -5.339 -0.378" Properties=species:S:1:pos:R:3 comment="CsThPa | OQMD via LeMat-Bulk | PBE-GGA | optimized geometry" de_polymorph_mev_per_atom=0 total_energy_ev_per_fu=-12.181 sg=F-43m magnetic_moment_mub_per_fu=0.04 pbc="T T T"
Cs -0.090 -2.912 1.667
Pa 0.000 0.000 0.000
Th -0.271 -8.737 5.002


The following is a DFT calculation (GGA+U) of MgV2F6 after structural relaxation.

Structure (POSCAR):
```
MgV2F6
1.0
4.4351 0.0000 0.0000
0.0000 8.1695 -4.7166
0.0000 0.0000 9.4333
V F Mg
6 18 3
Direct
0.0000 0.0000 0.3389
0.0000 0.6611 0.6611
0.0000 0.0000 0.6611
0.0000 0.6611 0.0000
0.0000 0.3389 0.0000
0.0000 0.3389 0.3389
0.2185 0.8908 0.7817
0.2506 0.8790 0.4395
0.2185 0.2183 0.1092
0.7494 0.4395 0.8790
0.7815 0.7817 0.8908
0.7534 0.7731 0.5463
0.2185 0.8908 0.1092
0.7815 0.1092 0.8908
0.2466 0.5463 0.7731
0.2506 0.5605 0.1210
0.7815 0.1092 0.2183
0.2466 0.2269 0.7731
0.7534 0.7731 0.2269
0.7534 0.4537 0.2269
0.2506 0.5605 0.4395
0.2466 0.2269 0.4537
0.7494 0.4395 0.5605
0.7494 0.1210 0.5605
0.0000 0.0000 0.0000
0.4958 0.3333 0.6667
0.5042 0.6667 0.3333
```

Results
Energy ... -161.18 eV for the cell shown
Space-group type ... P-3m1, No. 164
Density ... 3.50 g cm⁻³
Total magnetization ... 6.0 μB/f.u.


Entry from the Alexandria database: crystalline Ac4MnSn8 at its relaxed geometry (PBE).

Cell lengths 4.607, 4.763, 18.409 Å; angles 90.00, 90.00, 90.00 degrees
Space group Pmm2 (No. 25)
One atom of each set of equivalent atoms:
Ac1 0.000 0.000 0.000 [1 per cell]
Ac2 0.000 0.500 0.494 [1 per cell]
Ac3 0.500 0.000 0.789 [1 per cell]
Ac4 0.500 0.500 0.288 [1 per cell]
Mn1 0.000 0.500 0.707 [1 per cell]
Sn1 0.000 0.000 0.336 [1 per cell]
Sn2 0.000 0.000 0.634 [1 per cell]
Sn3 0.000 0.500 0.140 [1 per cell]
Sn4 0.000 0.500 0.853 [1 per cell]
Sn5 0.500 0.000 0.148 [1 per cell]
Sn6 0.500 0.000 0.442 [1 per cell]
Sn7 0.500 0.500 0.633 [1 per cell]
Sn8 0.500 0.500 0.956 [1 per cell]

Values from the calculation:
ΔE_f   -0.523 eV/atom

=====

Entry from the Alexandria database: crystalline Ac2MnSn8 at its relaxed geometry (PBE).

Cell lengths 4.851, 4.851, 12.890 Å; angles 90.00, 90.00, 90.00 degrees
Space group P4/mmm (No. 123)
One atom of each set of equivalent atoms:
Ac1 0.000 0.000 0.193 [2 per cell]
Mn1 0.000 0.000 0.500 [1 per cell]
Sn1 0.000 0.500 0.000 [2 per cell]
Sn2 0.000 0.500 0.384 [4 per cell]
Sn3 0.500 0.500 0.189 [2 per cell]

Values from the calculation:
ΔE_f   -0.333 eV/atom

=====

Entry from the Alexandria database: crystalline AcMnSn2 at its relaxed geometry (PBE).

Cell lengths 3.760, 3.760, 7.484 Å; angles 90.00, 90.00, 90.00 degrees
Space group P4/mmm (No. 123)
One atom of each set of equivalent atoms:
Ac1 0.000 0.000 0.000 [1 per cell]
Mn1 0.000 0.000 0.500 [1 per cell]
Sn1 0.500 0.500 0.307 [2 per cell]

Values from the calculation:
ΔE_f   -0.120 eV/atom

=====

Entry from the Alexandria database: crystalline Ac2TbMnTe5 at its relaxed geometry (PBE).

  • C:\> asmtoolg

    Note: asmtoolg is the GUI-based tool that performs the same actions as the command-line asmtool tool.

"Marking Disk Partitions for Oracle ASM Before Installation" in Oracle Grid Infrastructure Installation and Upgrade Guide for Microsoft Windows x64 (64-Bit)


C:\> dbv

DBVERIFY starts and prompts you for a file name parameter. To obtain a list of parameters, enter:

C:\> dbv help=y

Oracle Database Utilities

Data Pump Export

C:\> expdp user name

EXP starts and prompts you for parameters. To obtain a list of these parameters, enter:

C:\> exp help=y

Oracle Database Utilities for instructions on use of Data Pump Export

Oracle Database Error Messages Reference for information on error messages

Data Pump Import

C:\> impdp user name

IMP starts and prompts you for parameters. To get a list of these parameters, enter:

C:\> imp help=y

Oracle Database Utilities for instructions on use of Data Pump Import

Oracle Database Error Messages for information on error messages

Database Configuration Assistant

C:\> dbca

Oracle Database Configuration Assistant tool starts in interactive mode. For silent options and other command-line options, enter:

C:\> dbca -help

"Starting DBCA" in Oracle Database 2 Day DBA

Database Upgrade Assistant

C:\> dbua

Oracle Database Upgrade Assistant wizard starts in interactive mode. For silent options and other command line options enter:

C:\> dbua -help

Oracle Database Upgrade Guide


C:\> exp user name

EXP starts and prompts you for parameters. To obtain a list of these parameters, enter:

C:\> exp help=y

Oracle Database Utilities for instructions on use of Export

Oracle Database Error Messages for information on error messages


C:\> imp user name

IMP starts and prompts you for parameters. To get a list of these parameters, enter:

C:\> imp help=y

Oracle Database Utilities for instructions on use of Import

Oracle Database Error Messages for information on error messages

Net Services Configuration

C:\> netca

Oracle Net Configuration Assistant tool starts in interactive mode. For silent options and other command-line options, enter:

C:\> netca -help

Oracle Database Upgrade Guide


C:\> oradim options

To get a list of ORADIM options, enter either of the following:

C:\> oradim

C:\> oradim -? | -h | -help


Oracle Wallet Manager

C:\> cd ORACLE_HOME\bin

C:\ORACLE_HOME\bin> launch.exe ORACLE_HOME\bin

Password Utility (ORAPWD)

C:\> orapwd

Password file is hidden. Use Windows Explorer to see it in a file list. From the View menu, select Options, then select View and then select Show All Files.


Recovery Manager (RMAN)

C:\> rman parameters

Oracle Database Backup and Recovery User's Guide


C:\> sqlplus

SQL*Plus User's Guide and Reference


C:\> sqlldr

SQL*Loader displays a Help screen with available keywords and default values.

Oracle Database Utilities

Oracle Database Error Messages

"Starting Windows Tools"


C:\> tkprof

Oracle Database SQL Tuning Guide

User Migration Utility

C:\> umu parameters

To get a list of parameters, enter:

C:\> umu help=yes

"Using the User Migration Utility" in Oracle Database Enterprise User Security Administrator's Guide


  • Three special conditions apply when running Export or Import utilities on Windows. First, default values for BUFFER and RECORDLENGTH parameters are 4 KB and 2 KB respectively. This default RECORDLENGTH parameter does not depend on the value of BUFSIZ defined in the system header file. If you specify a value larger than USHRT_MAX (64 KB), you get a warning message. Second, the VOLSIZE parameter is not supported. Third, to export an entire database, you must use the EXP_FULL_DATABASE role.

  • Oracle Enterprise Manager Database Express is another database tool for managing the database. For information about logging in to Oracle Enterprise Manager Database Express, see "Configuring the HTTP Port for EM Express" in Oracle Database 2 Day DBA.


Oracle Enterprise Manager Database Express (EM Express) is deprecated, and will be removed in a future Oracle Database release.